Work order =
Now find "-2.96795" and "-1.18142" in the lines underneath, and echo these two lines and those between.

Entries =
~~~
Entry from the Open Molecules 2025 dataset: a molecular structure, C37H31ClIIrN4O2PS (ωB97M-V/def2-TZVPD).

Summary:
net charge = +1
LUMO energy = -0.138 Ha
HOMO-LUMO gap = 0.238 hartree
E_HOMO = -10.235 eV
ΔE to the lowest compared entry with this formula, charge and spin = 229.7 kJ/mol

Geometry as XYZ:
```
79
C37H31ClIIrN4O2PS ωB97M-V/def2-TZVPD
Ir 0.22161 -0.44939 1.13797
C 1.73912 -3.37907 -2.24646
C 0.28970 -3.50954 -1.93021
N -0.38039 -4.50863 -2.41144
C -1.64907 -4.72565 -2.08105
C -2.27065 -4.02504 -1.06880
C -3.70123 -4.34273 -0.70744
O -4.50402 -3.19216 -0.54229
C -1.58334 -2.94759 -0.46060
C -2.13155 -2.37078 0.71521
N -1.81924 -1.26687 1.33791
C -2.63036 -0.89486 2.40501
C -4.01609 -1.12496 2.33162
C -4.86415 -0.77268 3.36054
C -4.36238 -0.17592 4.50613
C -3.00797 0.09794 4.59443
C -2.16916 -0.23365 3.54575
I -0.11284 0.32141 3.75780
C -0.33297 -2.53965 -1.04513
O 0.23761 -1.43927 -0.80884
H 1.98997 -4.01199 -3.09304
H 2.31945 -3.70767 -1.38235
H 2.00041 -2.34172 -2.44794
H -2.14816 -5.51055 -2.62974
H -3.73257 -4.86853 0.25420
H -4.11842 -5.00663 -1.47268
H -4.71950 -2.82097 -1.40502
H -2.88743 -2.99592 1.18381
H -4.41793 -1.57740 1.43772
H -5.92203 -0.96912 3.27562
H -5.01007 0.08450 5.32575
H -2.60418 0.58060 5.46967
Cl -2.16000 1.93820 1.22514
C -2.47494 2.13501 -0.45099
C -3.72924 2.49882 -0.89966
C -3.92044 2.71239 -2.25668
C -2.85623 2.57498 -3.13721
C -1.60832 2.18916 -2.67772
C -1.40524 1.94226 -1.32404
P 0.18082 1.47697 -0.55371
C 1.28762 1.20203 -1.96214
C 0.89399 0.31717 -2.96795
C 1.76720 -0.00078 -3.99155
C 3.04261 0.54506 -4.01214
C 3.43970 1.41587 -3.01185
C 2.57095 1.74092 -1.98756
C 0.68196 3.09294 0.11542
C 1.41964 3.12388 1.29336
C 1.86305 4.32768 1.80741
C 1.53155 5.50891 1.16725
C 0.76372 5.48716 0.01400
C 0.34909 4.28292 -0.52525
H -4.53856 2.61707 -0.19655
H -4.89535 2.99588 -2.62551
H -2.99416 2.75839 -4.19156
H -0.78564 2.08763 -3.37082
H -0.09144 -0.12922 -2.93707
H 1.45315 -0.68428 -4.76868
H 3.72460 0.28149 -4.80651
H 4.43231 1.84146 -3.02587
H 2.88470 2.42089 -1.20884
H 1.62639 2.20050 1.81226
H 2.45549 4.34001 2.70713
H 1.86829 6.44805 1.57331
H 0.48984 6.41390 -0.46722
H -0.23610 4.26773 -1.43247
C 6.25139 -1.57576 3.03191
C 4.97433 -1.13191 2.41857
C 4.83367 0.12352 1.81560
C 3.60512 0.42847 1.26845
N 2.58190 -0.41192 1.32727
C 2.81192 -1.61221 1.89756
S 1.46450 -2.66854 1.88830
N 3.95983 -1.98235 2.43135
H 6.94033 -0.74395 3.14802
H 6.70398 -2.32638 2.38561
H 6.06511 -2.04706 3.99321
H 5.64609 0.82704 1.78628
H 3.42862 1.37448 0.77607
```

Entry from the Open Molecules 2025 dataset: a molecular structure, C21H19AsN6RhS (ωB97M-V/def2-TZVPD).

Summary:
net charge = +1
LUMO energy = -0.201 Ha
HOMO-LUMO gap = 0.232 hartree
E_HOMO = -11.786 eV
ΔE to the lowest compared entry with this formula, charge and spin = 0.0 kJ/mol

Geometry as XYZ:
```
49
C21H19AsN6RhS ωB97M-V/def2-TZVPD
Rh 1.86138 0.63634 -0.87442
N -3.38406 -5.73318 4.24221
C -2.75372 -5.08109 3.53860
C -1.96961 -4.26110 2.65500
C -1.63842 -2.96052 3.03022
C -0.87776 -2.17953 2.18265
C -0.46905 -2.67341 0.94124
C -0.78179 -3.98733 0.58669
C -1.52860 -4.77851 1.43998
C 0.32687 -1.80784 0.06149
C 0.22253 -1.72151 -1.28589
C -0.64521 -2.42629 -2.22261
C -0.28743 -2.04055 -3.46409
C 0.75859 -1.04671 -3.31147
N 1.05207 -0.84801 -2.06463
C 1.71453 0.42732 1.72439
C 1.55267 0.81614 3.03702
C 1.92256 2.17806 3.04769
C 2.28635 2.53945 1.75635
N 2.17445 1.46503 0.94434
H -1.97073 -2.57595 3.98430
H -0.60869 -1.17319 2.47950
H -0.39634 -4.41010 -0.33048
H -1.75997 -5.80128 1.17707
H -1.41301 -3.13154 -1.95344
H -0.69557 -2.37405 -4.40419
H 1.24394 -0.47937 -4.09412
H 1.26302 0.20702 3.87740
H 1.95436 2.82011 3.91265
H 2.65407 3.48562 1.39241
C -0.14981 3.59997 -0.43081
As -0.21087 1.71413 -0.77731
C -1.20843 1.46651 -2.39780
C -1.35315 1.07120 0.63123
S 1.82623 -1.04884 0.76230
H -1.18160 3.95354 -0.44953
H 0.41817 4.14027 -1.18142
H 0.27327 3.75973 0.55686
H -2.07460 2.12623 -2.34836
H -1.54158 0.43316 -2.47452
~~~

Completed =
C 0.89399 0.31717 -2.96795
C 1.76720 -0.00078 -3.99155
C 3.04261 0.54506 -4.01214
C 3.43970 1.41587 -3.01185
C 2.57095 1.74092 -1.98756
C 0.68196 3.09294 0.11542
C 1.41964 3.12388 1.29336
C 1.86305 4.32768 1.80741
C 1.53155 5.50891 1.16725
C 0.76372 5.48716 0.01400
C 0.34909 4.28292 -0.52525
H -4.53856 2.61707 -0.19655
H -4.89535 2.99588 -2.62551
H -2.99416 2.75839 -4.19156
H -0.78564 2.08763 -3.37082
H -0.09144 -0.12922 -2.93707
H 1.45315 -0.68428 -4.76868
H 3.72460 0.28149 -4.80651
H 4.43231 1.84146 -3.02587
H 2.88470 2.42089 -1.20884
H 1.62639 2.20050 1.81226
H 2.45549 4.34001 2.70713
H 1.86829 6.44805 1.57331
H 0.48984 6.41390 -0.46722
H -0.23610 4.26773 -1.43247
C 6.25139 -1.57576 3.03191
C 4.97433 -1.13191 2.41857
C 4.83367 0.12352 1.81560
C 3.60512 0.42847 1.26845
N 2.58190 -0.41192 1.32727
C 2.81192 -1.61221 1.89756
S 1.46450 -2.66854 1.88830
N 3.95983 -1.98235 2.43135
H 6.94033 -0.74395 3.14802
H 6.70398 -2.32638 2.38561
H 6.06511 -2.04706 3.99321
H 5.64609 0.82704 1.78628
H 3.42862 1.37448 0.77607
```

Entry from the Open Molecules 2025 dataset: a molecular structure, C21H19AsN6RhS (ωB97M-V/def2-TZVPD).

Summary:
net charge = +1
LUMO energy = -0.201 Ha
HOMO-LUMO gap = 0.232 hartree
E_HOMO = -11.786 eV
ΔE to the lowest compared entry with this formula, charge and spin = 0.0 kJ/mol

Geometry as XYZ:
```
49
C21H19AsN6RhS ωB97M-V/def2-TZVPD
Rh 1.86138 0.63634 -0.87442
N -3.38406 -5.73318 4.24221
C -2.75372 -5.08109 3.53860
C -1.96961 -4.26110 2.65500
C -1.63842 -2.96052 3.03022
C -0.87776 -2.17953 2.18265
C -0.46905 -2.67341 0.94124
C -0.78179 -3.98733 0.58669
C -1.52860 -4.77851 1.43998
C 0.32687 -1.80784 0.06149
C 0.22253 -1.72151 -1.28589
C -0.64521 -2.42629 -2.22261
C -0.28743 -2.04055 -3.46409
C 0.75859 -1.04671 -3.31147
N 1.05207 -0.84801 -2.06463
C 1.71453 0.42732 1.72439
C 1.55267 0.81614 3.03702
C 1.92256 2.17806 3.04769
C 2.28635 2.53945 1.75635
N 2.17445 1.46503 0.94434
H -1.97073 -2.57595 3.98430
H -0.60869 -1.17319 2.47950
H -0.39634 -4.41010 -0.33048
H -1.75997 -5.80128 1.17707
H -1.41301 -3.13154 -1.95344
H -0.69557 -2.37405 -4.40419
H 1.24394 -0.47937 -4.09412
H 1.26302 0.20702 3.87740
H 1.95436 2.82011 3.91265
H 2.65407 3.48562 1.39241
C -0.14981 3.59997 -0.43081
As -0.21087 1.71413 -0.77731
C -1.20843 1.46651 -2.39780
C -1.35315 1.07120 0.63123
S 1.82623 -1.04884 0.76230
H -1.18160 3.95354 -0.44953
H 0.41817 4.14027 -1.18142